
Planet Heart has the brands that you want!  All the brands, designs, names, logos, slogans, and the HeartMark patent and trademark on this website are available for licensing in a variety of categories.

(Attached: records of crystals)
# 1
! CaB2H2 PBE optimized geometry; values from VASP
! Energy relative to the lowest polymorph listed for this composition, eV/atom: 0.000
&SYSTEM
  ibrav = 0, nat = 10, ntyp = 3
/
ATOMIC_SPECIES
B 10.81 B.upf
Ca 40.08 Ca.upf
H 1.01 H.upf
ATOMIC_POSITIONS crystal
B 0.4069 0.5931 0.7692
B 0.8715 0.1285 0.7017
B 0.5931 0.4069 0.2692
B 0.1285 0.8715 0.2017
Ca 0.1516 0.8484 0.5558
Ca 0.8484 0.1516 0.0558
H 0.8255 0.1745 0.5473
H 0.5263 0.4737 0.4112
H 0.1745 0.8255 0.0473
H 0.4737 0.5263 0.9112
CELL_PARAMETERS angstrom
1.7900 0.2365 4.3007
-3.3030 -2.2948 -2.3622
5.1456 -5.5138 -1.8384

=====

# 2
! MnB2H8 PBE optimized geometry; values from VASP
! Energy relative to the lowest polymorph listed for this composition, eV/atom: 0.001
&SYSTEM
  ibrav = 0, nat = 22, ntyp = 3
/
ATOMIC_SPECIES
H 1.01 H.upf
Mn 54.94 Mn.upf
B 10.81 B.upf
ATOMIC_POSITIONS crystal
H 0.5343 0.7191 0.2862
H 0.6397 0.1751 0.9132
H 0.1751 0.3603 0.0868
H 0.7809 0.9657 0.2138
H 0.3603 0.8249 0.9132
H 0.0343 0.7809 0.7862
H 0.4657 0.2809 0.2862
H 0.8603 0.6751 0.4132
H 0.1397 0.3249 0.4132
H 0.6751 0.1397 0.5868
H 0.9657 0.2191 0.7862
H 0.2809 0.5343 0.7138
H 0.2191 0.0343 0.2138
H 0.8249 0.6397 0.0868
H 0.7191 0.4657 0.7138
H 0.3249 0.8603 0.5868
Mn 0.0000 0.0000 0.5000
Mn 0.5000 0.5000 0.0000
B 0.2484 0.7484 0.7500
B 0.2516 0.2484 0.2500
B 0.7484 0.7516 0.2500
B 0.7516 0.2516 0.7500
CELL_PARAMETERS angstrom
5.5999 0.0000 0.0000
0.0000 5.5999 0.0000
0.0000 0.0000 5.9529

=====

# 3
PrHo: optimized geometry, PBE. Values from VASP.

Quantum ESPRESSO input file:
```
&SYSTEM
  ibrav = 0, nat = 2, ntyp = 2
/
ATOMIC_SPECIES
Pr 140.91 Pr.upf
Ho 164.93 Ho.upf
ATOMIC_POSITIONS crystal
Pr 0.0000 0.0000 0.0000
Ho 0.3333 0.6667 0.5000
CELL_PARAMETERS angstrom
0.0500 3.5711 -0.7238
-1.6876 -1.2304 2.9861
5.0355 0.5524 3.0734
```

=====

# 4
Li5Cu2Ge2: optimized geometry, PBE. Values from VASP.

Quantum ESPRESSO input file:
```
&SYSTEM
  ibrav = 0, nat = 9, ntyp = 3
/
ATOMIC_SPECIES
Li 6.94 Li.upf
Ge 72.64 Ge.upf
Cu 63.55 Cu.upf
ATOMIC_POSITIONS crystal
Li 0.3333 0.6667 0.4313
Li 0.3333 0.6667 0.1141
Li 0.6667 0.3333 0.5687
Li 0.6667 0.3333 0.8859
Li 0.0000 0.0000 0.0000
Ge 0.6667 0.3333 0.2411
Ge 0.3333 0.6667 0.7589
Cu 0.0000 0.0000 0.3081
Cu 0.0000 0.0000 0.6919
CELL_PARAMETERS angstrom
-2.6823 2.9176 -1.4726
-0.3665 -1.3943 3.9746
4.9662 5.8287 2.5027
```

=====

# 5
! Mg6Si5 PBE optimized geometry; values from VASP
! Energy relative to the lowest polymorph listed for this composition, eV/atom: 0.085
&SYSTEM
  ibrav = 0, nat = 22, ntyp = 2
/
ATOMIC_SPECIES
Mg 24.30 Mg.upf
Si 28.09 Si.upf
ATOMIC_POSITIONS crystal
Mg 0.3282 0.8202 0.6451
Mg 0.5716 0.9680 0.1138
Mg 0.1975 0.3853 0.5770
Mg 0.6242 0.9339 0.8833
Mg 0.1515 0.1451 0.7827
Mg 0.7181 0.6749 0.4932
Mg 0.9458 0.6994 0.0276
Mg 0.1353 0.4800 0.3498
Mg 0.2029 0.9773 0.4186
Mg 0.7463 0.3990 0.8637
Mg 0.1145 0.1981 0.0148
Mg 0.5215 0.4922 0.1682
Si 0.7955 0.5709 0.6774
Si 0.3393 0.5552 0.9404
Si 0.0611 0.7494 0.8172
Si 0.6248 0.7943 0.3072


If you are a manufacturer, Planet Heart has designs that will help your products sell!  Please fill out the contact form on the portfolio page or contact Tali Lehavi.   Some incredible designs in your category are not on the website.  Please write what you are looking for so Planet Heart will match the right product that will help you connect with your customers!  

If you are an advertiser, Planet Heart can offer the registered trademark Heart Hand gesture called the HeartMark for licensing. Many strong slogans are associated with this peaceful gesture. Please inquire to hear about how this trademarked gesture can help your cause and connect you to your audience!  subject:  licensing

The HeartMark heart hand gesture is the invention of Tali Lehavi. Lehavi invented the concept of hands coming together to make a heart. Lehavi created children’s stories, a world of cartoon characters, fun whimsical rhymes, rap songs, choreography, and art work–all about the HeartMark heart hand gesture. The HeartMark represents all of Lehavi’s work. Once Lehavi received a US patent for the gesture, she developed new lines inspired by the HeartMark. Room decor, jewelry, toys, bedding, and children’s clothes for example developed from the same concept of bringing items together to make an image between them (and all protected by the US utility patent and Lehavi’s trademark style.)

In addition, Lehavi developed HeartMark Health which included unique nutrition lessons, fitness classes, and materials for inspiring others to optimum health.

The registered heart hand gesture is a brand of connectivity.

_Attached: crystal structures_
┌──
An optimized crystal structure of BaCaSn4O8, computed with PBE.

Results
* calculated density: 5.645 Mg/m³
* total DFT energy (no corrections): -84.173 eV per cell
* spin magnetization: 0.001 μB/f.u.
* space group: P-31m, No. 162

Unit cell a=6.1257 b=6.1257 c=7.0629 alpha=90.00 beta=90.00 gamma=120.00
Closest atoms and distances in Å follow each position.
Positions (direct):
Ba  0.0000  0.0000  0.0000  6 O 2.78
Ca  0.0000  0.0000  0.5000  6 O 2.38
Sn  0.3333  0.6667  0.2856  4 O 2.02-2.13
Sn  0.3333  0.6667  0.7144  4 O 2.02-2.13
Sn  0.6667  0.3333  0.2856  4 O 2.02-2.13
Sn  0.6667  0.3333  0.7144  4 O 2.02-2.13
O  0.0000  0.3054  0.2916  2 Sn 2.13, 1 Ca 2.38
O  0.0000  0.6946  0.7084  2 Sn 2.13, 1 Ca 2.38
O  0.3054  0.0000  0.2916  2 Sn 2.13, 1 Ca 2.38
O  0.3054  0.3054  0.7084  2 Sn 2.13, 1 Ca 2.38
O  0.3333  0.6667  0.0000  2 Sn 2.02
O  0.6667  0.3333  0.0000  2 Sn 2.02
O  0.6946  0.0000  0.7084  2 Sn 2.13, 1 Ca 2.38
O  0.6946  0.6946  0.2916  2 Sn 2.13, 1 Ca 2.38

=====

An optimized crystal structure of LaP3O9, computed with PBE.

Results
* calculated density: 3.335 Mg/m³
* total DFT energy (no corrections): -197.373 eV per cell
* space group: C222_1, No. 20

Unit cell a=7.1897 b=7.1897 c=7.4995 alpha=90.00 beta=90.00 gamma=105.10
Closest atoms and distances in Å follow each position.
Positions (direct):
La  0.1295  0.1295  0.0000  6 O 2.43-2.52
La  0.8705  0.8705  0.5000  6 O 2.43-2.52
P  0.2515  0.2515  0.5000  4 O 1.52-1.59
P  0.3181  0.6686  0.9516  4 O 1.49-1.62
P  0.3314  0.6819  0.5484  4 O 1.49-1.62
P  0.6686  0.3181  0.0484  4 O 1.49-1.62
P  0.6819  0.3314  0.4516  4 O 1.49-1.62
P  0.7485  0.7485  0.0000  4 O 1.52-1.59
O  0.1381  0.1732  0.6662  1 P 1.52
O  0.1715  0.7785  0.5386  1 P 1.49
O  0.1732  0.1381  0.3338  1 P 1.52
O  0.2215  0.8285  0.9614  1 P 1.49
O  0.2229  0.4783  0.0342  1 P 1.50
O  0.2518  0.4693  0.4616  2 P 1.59-1.62
O  0.3729  0.6271  0.7500  2 P 1.61
O  0.4693  0.2518  0.5384  2 P 1.59-1.62
O  0.4783  0.2229  0.9658  1 P 1.50
O  0.5217  0.7771  0.4658  1 P 1.50
O  0.5307  0.7482  0.0384  2 P 1.59-1.62
O  0.6271  0.3729  0.2500  2 P 1.61
O  0.7482  0.5307  0.9616  2 P 1.59-1.62
O  0.7771  0.5217  0.5342  1 P 1.50
O  0.7785  0.1715  0.4614  1 P 1.49
O  0.8268  0.8619  0.8338  1 P 1.52
O  0.8285  0.2215  0.0386  1 P 1.49
O  0.8619  0.8268  0.1662  1 P 1.52

=====

An optimized crystal structure of Ba5Al2Ge7, computed with PBE.

Results
* calculated density: 5.003 Mg/m³
* total DFT energy (no corrections): -113.660 eV per cell
* space group: C2/m, No. 12

Unit cell a=6.8077 b=6.8077 c=18.6898 alpha=98.62 beta=98.62 gamma=100.10
Closest atoms and distances in Å follow each position.
Positions (direct):
Ba  0.0703  0.6226  0.7104  7 Ge 3.46-3.67, 3 Al 3.53-3.83
Ba  0.2093  0.7907  0.0000  10 Ge 3.39-3.62
Ba  0.2509  0.7491  0.5000  8 Ge 3.54-3.83, 4 Al 3.60-3.69
Ba  0.2612  0.2612  0.8554  6 Ge 3.42-3.72, 1 Al 3.52
Ba  0.3774  0.9297  0.2896  7 Ge 3.46-3.67, 3 Al 3.53-3.83
└──

You may now be familiar with the heart hand gesture. It is becoming popular. If you want to ad it to your campaign in ads or on products, please contact subject: license the HeartMark.

In addition to the HeartMark heart hand, you may be interested in some other products:

Lovelle’s Garden and Planet Heart (TM)
— a fully developed entertainment properties that’s Heartastic! (TM)
HeartMark Health Brand (TM)
HeartMark Yogalates (TM)
The HeartMarking Sponaps!(TM)
HeartMark Hop (TM)-fitness game for children

and many others!

Thank you,

(Between two parts of the text: calculated crystals)
# 1
Density functional theory data (PBE) for a relaxed structure of PrBPt4.

CIF file:
```
data_PrBPt4
_space_group_name_H-M_alt 'P 6/m m m'
_space_group_IT_number 191
_space_group_name_Hall '-P 6 2'
_cell_length_a 5.5210
_cell_length_b 5.5210
_cell_length_c 7.7097
_cell_angle_alpha 90.00
_cell_angle_beta 90.00
_cell_angle_gamma 120.00
loop_
_atom_site_label
_atom_site_type_symbol
_atom_site_fract_x
_atom_site_fract_y
_atom_site_fract_z
Pr1 Pr 0.0000 0.0000 0.0000
Pr2 Pr 0.0000 0.0000 0.5000
B1 B 0.3333 0.6667 0.0000
Pt1 Pt 0.0000 0.5000 0.1991
Pt2 Pt 0.3333 0.6667 0.5000
```

Properties
* total energy: -6.73 eV/atom
* energy relative to the elements: -0.77 eV per atom
* ρ: 15.210 g cm⁻³
* V: 17.0 A^3/atom


# 2
Density functional theory data (PBE) for a relaxed structure of Pr16Re25B24.

CIF file:
```
data_Pr16Re25B24
_space_group_name_H-M_alt 'C 1 2/m 1'
_space_group_IT_number 12
_space_group_name_Hall '-C 2y'
_cell_length_a 11.744
_cell_length_b 10.719
_cell_length_c 15.900
_cell_angle_alpha 90.00
_cell_angle_beta 96.96
_cell_angle_gamma 90.00
loop_
_atom_site_label
_atom_site_type_symbol
_atom_site_fract_x
_atom_site_fract_y
_atom_site_fract_z
Pr1 Pr 0.057 0.242 0.092
Pr2 Pr 0.061 0.249 0.594
Pr3 Pr 0.141 0.500 0.179
Pr4 Pr 0.142 0.500 0.679
Pr5 Pr 0.185 0.000 0.150
Pr6 Pr 0.189 0.000 0.654
Re1 Re 0.000 0.000 0.500
Re2 Re 0.078 0.000 0.335
Re3 Re 0.088 0.000 0.832
Re4 Re 0.094 0.500 0.967
Re5 Re 0.096 0.500 0.467
Re6 Re 0.168 0.234 0.298
Re7 Re 0.171 0.237 0.798
Re8 Re 0.204 0.125 0.460
Re9 Re 0.212 0.125 0.956
B1 B 0.000 0.326 0.249
B2 B 0.001 0.152 0.751
B3 B 0.086 0.413 0.837
B4 B 0.087 0.414 0.337
B5 B 0.174 0.326 0.925
B6 B 0.175 0.325 0.424
```

Properties
* total energy: -8.68 eV/atom
* energy relative to the elements: -0.25 eV per atom
* ρ: 11.984 g cm⁻³
* V: 15.3 A^3/atom


# 3
Density functional theory data (PBE) for a relaxed structure of PrBRh3.

CIF file:
```
data_PrBRh3
_space_group_name_H-M_alt 'P m -3 m'
_space_group_IT_number 221
_space_group_name_Hall '-P 4 2 3'
_cell_length_a 4.277
_cell_length_b 4.277
_cell_length_c 4.277
_cell_angle_alpha 90.00
_cell_angle_beta 90.00
_cell_angle_gamma 90.00
loop_
_atom_site_label
_atom_site_type_symbol
_atom_site_fract_x
_atom_site_fract_y
_atom_site_fract_z
Pr1 Pr 0.000 0.000 0.000
B1 B 0.500 0.500 0.500
Rh1 Rh 0.000 0.500 0.500
```

Properties
* total energy: -7.38 eV/atom
* energy relative to the elements: -0.67 eV per atom
* ρ: 9.774 g cm⁻³
* V: 15.6 A^3/atom

=====

Record 1
This record from the Materials Project describes CaSi2WO6 after structural relaxation. The functional is PBE+U.

Computed properties:
- Energy relative to the lowest polymorph listed for this composition: 52 meV/atom
- SG: C2/c
- Energy of formation from the pure elements: -2.64 eV per atom
- Mass density: 5.256 g/cm³

a b c (Å): 6.9590 6.9590 5.1197
angles (deg): 99.91 99.91 79.53
With the nearest neighbours (Å) after each atom.
Atoms (fractional coordinates):
Ca1 0.2153 0.7847 0.7500  4 O 2.34-2.44

I HeartMark You!

Companies who are now using the HeartMark Heart Hands (trademark and patent)
(just off the top of my head for now:)

Lenscrafters: April 2009
Taylor Swift since April 2009
Travel Nevada–ads in print, online, and TV
Weber Grill–May 2009–prints in magazines and posters
Applebey’s–commercial that only aired on TV in May 2009 only
HP–ad in magazine in May 2009
Pepsi–print ads
Sonic–commercial that aired only in May 2009
Victoria Secret–posters, catwalk ads–around July 2009-December 2011
Nordstorm Rack–gift cards–June 2009
Monsters Vs. Aliens movie–2009
Circus Yoga–Using the HeartMark in yoga poses
Justin Bieber–in videos, commercials for dolls, and appearances
Jump Rope for the Heart! (following my HeartMark Hop) 2010-2011
Activia ad for yogurt–ongoing commercials from July 2011-present
Justice Just 4 Girls–print ads in magazines and t-shirts
Disney having Mickey Mouse do Lovelle’s trademark pose
January 2012:

Companies who are currently using my Heart Mandala Line:

Room Magic–room furniture designer who is using my Heart Mandala and Kissing Fish design and sells them at multiple locations including Macy’s and online retailers.